........
# 1
62
Properties=species:S:1:pos:R:3:forces:R:3 method="wB97M-V/def2-TZVPD" max_force_ev_per_a=5.19 total_charge=-4 homo_energy_ev=5.11
Ca 1.684992 0.361972 -0.519757 -0.2 1.4 1.7
P 2.658152 -1.497788 -2.372987 1.5 -3.5 -1.9
O 3.358352 -0.701708 -1.304437 2.0 0.6 2.3
O 2.950682 -3.098278 -2.278787 -1.6 2.8 0.1
O 3.095882 -0.978148 -3.718877 -0.1 0.0 -1.7
O 1.168662 -0.967868 -2.132847 -2.5 -1.7 -0.3
C -0.820718 -2.828568 -3.684877 -1.4 0.8 0.4
C -1.879098 -1.910408 -2.951257 1.6 0.6 0.3
C -3.374048 -2.338568 -3.155457 1.9 -1.5 -0.3
O -4.061728 -2.798548 -2.001287 -0.1 0.9 -0.2
C -5.422668 -2.482528 -2.088997 -0.4 -0.7 -0.5
N -1.406798 -1.706638 -1.511257 -2.9 -0.7 -1.1
H -1.841308 -0.870598 -1.147477 -0.1 0.5 0.8
H -1.638278 -2.505298 -0.937967 0.1 -0.1 0.4
H -0.418928 -1.503648 -1.456497 3.1 0.3 -0.8
H -1.141558 -2.913308 -4.723137 -0.1 -0.1 -0.2
H -0.811578 -3.819528 -3.230977 0.1 -0.1 0.1
H 0.173152 -2.381388 -3.666177 0.1 0.1 0.4
H -1.801958 -0.896948 -3.345017 0.3 -0.1 -0.2
H -3.220638 -3.206798 -3.796347 -0.4 -0.5 -0.2
H -3.928228 -1.672358 -3.816617 -0.2 0.7 0.7
H -5.968778 -3.195138 -1.470887 0.0 0.5 0.5
H -5.802018 -2.680458 -3.091497 0.0 -0.2 -0.5
H -5.664648 -1.430278 -1.939607 0.2 0.1 0.7
N 0.618962 -2.572768 1.867203 2.3 2.5 -1.9
O 1.134492 -1.630368 1.240283 0.1 0.7 -0.6
O 1.203382 -3.623408 1.892783 1.3 -3.5 0.5
O -0.413318 -2.397308 2.447793 -4.0 0.1 2.1
N 2.196602 3.514372 -2.378767 -1.7 -2.0 -2.0
O 1.840072 3.988032 -3.500167 0.2 0.6 0.3
O 1.712862 2.424732 -2.036457 -0.9 -0.6 0.3
O 3.006652 4.035802 -1.678517 2.2 2.3 1.5
C 3.770462 0.812012 2.187743 -3.9 -0.4 -3.4
O 3.279062 0.274172 3.419653 0.9 1.1 1.5
O 2.591852 1.253612 1.513453 3.8 0.0 1.5
C 4.931772 1.844372 2.277983 -0.8 0.5 -1.5
F 6.094182 1.341482 2.707743 1.2 -1.2 0.5
F 5.300412 2.512002 1.120203 -0.8 -1.1 0.5
F 4.652772 2.793422 3.122573 -0.7 2.0 1.8
C 4.041052 -0.708558 4.047433 -0.3 -1.0 -0.1
C 3.256212 -1.330718 5.217063 -0.9 0.9 0.2
H 2.434242 -1.965068 4.885323 0.6 -0.7 -0.3
H 3.870832 -1.717638 6.029863 0.3 -0.8 -0.4
H 2.635632 -0.636868 5.784123 0.2 1.1 -0.2
H 5.046952 -0.430548 4.362033 0.2 0.7 0.4
H 4.235422 -1.495358 3.318543 0.0 -0.4 -0.2
H 4.221682 -0.033598 1.668653 0.3 -0.4 -0.4
C -1.525578 2.112862 -0.137227 3.0 -3.4 1.8
O -2.420128 2.275192 0.951453 -1.0 2.3 1.3
O -0.699698 0.982302 0.234303 -2.6 2.1 -2.8
C -2.479308 2.087352 -1.364717 3.2 0.8 -0.3
F -3.206508 0.998582 -1.470267 -1.2 -1.1 -0.2
F -3.280098 3.169662 -1.390247 -0.9 0.2 0.2
F -1.749308 2.206782 -2.517777 -0.5 -0.5 0.4
C -2.322338 3.470432 1.770513 -1.0 -1.3 0.3
C -3.607108 3.440202 2.706993 0.7 0.4 -1.4
H -3.530898 4.126942 3.550023 0.4 -0.4 0.4
H -4.532678 3.762622 2.230043 0.0 0.0 -0.6
H -3.754668 2.386752 2.944803 0.2 0.2 0.5
H -2.160118 4.378832 1.190333 -0.6 0.1 -0.3
H -1.461568 3.447842 2.438833 0.3 -0.5 0.0
H -0.819158 2.924662 -0.310577 -0.3 0.8 0.0

---

# 2
48
Properties=species:S:1:pos:R:3:forces:R:3 method="wB97M-V/def2-TZVPD" max_force_ev_per_a=2.58 multiplicity=2 total_charge=-1 homo_energy_ev="0.54 / -8.09" e_above_lowest_kj_mol=25.6
Cl 1.755730 -0.731303 -4.845979 0.2 0.1 0.2
C 2.492020 -0.513543 -3.218689 -0.5 0.4 0.0
C 2.119390 0.908107 -2.700529 0.6 -1.4 -1.8
Cl 2.800430 1.099577 -1.125689 0.3 0.2 1.7
H 3.569130 -0.661073 -3.297249 -0.1 0.3 -0.1
H 2.107360 -1.327433 -2.604089 -0.2 0.3 0.1
H 1.040820 1.061787 -2.734549 0.2 0.0 0.2
H 2.655280 1.634047 -3.312029 -0.5 0.0 -0.2
Cl -0.593880 0.536217 3.040181 0.3 -0.7 -0.1
C 0.046560 0.654647 1.357941 0.0 2.5 -0.4
C -0.412080 -0.389713 0.407031 -0.3 -1.9 1.6
Cl 0.478690 -1.856093 0.987261 0.2 -0.7 -0.2
H 1.125020 0.812247 1.370981 -0.2 -0.4 0.2
H -0.384220 1.628087 1.123551 0.1 -0.1 -0.6
H -0.227290 -0.429723 -0.666449 0.0 1.1 0.2
H -1.447570 -0.612653 0.664251 -0.1 0.1 -0.6
Cl -2.151870 -3.686053 4.863951 0.4 0.1 -0.5
C -1.875490 -3.381673 3.081751 0.7 0.0 0.0
C -0.962290 -4.478483 2.455541 -1.6 -0.3 1.2
Cl 0.608430 -4.636243 3.340701 -0.6 0.1 -0.6
H -1.432020 -2.395123 2.947031 -0.2 0.0 0.3
........
Quote the lines further above up to the one that holds "1.770513 -1.0", that line included.
# 1
62
Properties=species:S:1:pos:R:3:forces:R:3 method="wB97M-V/def2-TZVPD" max_force_ev_per_a=5.19 total_charge=-4 homo_energy_ev=5.11
Ca 1.684992 0.361972 -0.519757 -0.2 1.4 1.7
P 2.658152 -1.497788 -2.372987 1.5 -3.5 -1.9
O 3.358352 -0.701708 -1.304437 2.0 0.6 2.3
O 2.950682 -3.098278 -2.278787 -1.6 2.8 0.1
O 3.095882 -0.978148 -3.718877 -0.1 0.0 -1.7
O 1.168662 -0.967868 -2.132847 -2.5 -1.7 -0.3
C -0.820718 -2.828568 -3.684877 -1.4 0.8 0.4
C -1.879098 -1.910408 -2.951257 1.6 0.6 0.3
C -3.374048 -2.338568 -3.155457 1.9 -1.5 -0.3
O -4.061728 -2.798548 -2.001287 -0.1 0.9 -0.2
C -5.422668 -2.482528 -2.088997 -0.4 -0.7 -0.5
N -1.406798 -1.706638 -1.511257 -2.9 -0.7 -1.1
H -1.841308 -0.870598 -1.147477 -0.1 0.5 0.8
H -1.638278 -2.505298 -0.937967 0.1 -0.1 0.4
H -0.418928 -1.503648 -1.456497 3.1 0.3 -0.8
H -1.141558 -2.913308 -4.723137 -0.1 -0.1 -0.2
H -0.811578 -3.819528 -3.230977 0.1 -0.1 0.1
H 0.173152 -2.381388 -3.666177 0.1 0.1 0.4
H -1.801958 -0.896948 -3.345017 0.3 -0.1 -0.2
H -3.220638 -3.206798 -3.796347 -0.4 -0.5 -0.2
H -3.928228 -1.672358 -3.816617 -0.2 0.7 0.7
H -5.968778 -3.195138 -1.470887 0.0 0.5 0.5
H -5.802018 -2.680458 -3.091497 0.0 -0.2 -0.5
H -5.664648 -1.430278 -1.939607 0.2 0.1 0.7
N 0.618962 -2.572768 1.867203 2.3 2.5 -1.9
O 1.134492 -1.630368 1.240283 0.1 0.7 -0.6
O 1.203382 -3.623408 1.892783 1.3 -3.5 0.5
O -0.413318 -2.397308 2.447793 -4.0 0.1 2.1
N 2.196602 3.514372 -2.378767 -1.7 -2.0 -2.0
O 1.840072 3.988032 -3.500167 0.2 0.6 0.3
O 1.712862 2.424732 -2.036457 -0.9 -0.6 0.3
O 3.006652 4.035802 -1.678517 2.2 2.3 1.5
C 3.770462 0.812012 2.187743 -3.9 -0.4 -3.4
O 3.279062 0.274172 3.419653 0.9 1.1 1.5
O 2.591852 1.253612 1.513453 3.8 0.0 1.5
C 4.931772 1.844372 2.277983 -0.8 0.5 -1.5
F 6.094182 1.341482 2.707743 1.2 -1.2 0.5
F 5.300412 2.512002 1.120203 -0.8 -1.1 0.5
F 4.652772 2.793422 3.122573 -0.7 2.0 1.8
C 4.041052 -0.708558 4.047433 -0.3 -1.0 -0.1
C 3.256212 -1.330718 5.217063 -0.9 0.9 0.2
H 2.434242 -1.965068 4.885323 0.6 -0.7 -0.3
H 3.870832 -1.717638 6.029863 0.3 -0.8 -0.4
H 2.635632 -0.636868 5.784123 0.2 1.1 -0.2
H 5.046952 -0.430548 4.362033 0.2 0.7 0.4
H 4.235422 -1.495358 3.318543 0.0 -0.4 -0.2
H 4.221682 -0.033598 1.668653 0.3 -0.4 -0.4
C -1.525578 2.112862 -0.137227 3.0 -3.4 1.8
O -2.420128 2.275192 0.951453 -1.0 2.3 1.3
O -0.699698 0.982302 0.234303 -2.6 2.1 -2.8
C -2.479308 2.087352 -1.364717 3.2 0.8 -0.3
F -3.206508 0.998582 -1.470267 -1.2 -1.1 -0.2
F -3.280098 3.169662 -1.390247 -0.9 0.2 0.2
F -1.749308 2.206782 -2.517777 -0.5 -0.5 0.4
C -2.322338 3.470432 1.770513 -1.0 -1.3 0.3